### To do
Work out how many lines below have the word "pos" in them; a number is enough, please.
### Material
'''
Molecular formula: C33H22CoF5N4O2S2
Method: DFT, the ωB97M-V functional and the def2-TZVPD basis

The geometry in XYZ format:
```
69
Properties=species:S:1:pos:R:3:forces:R:3:nbo_charge:R:1
Co -0.1539 0.2121 0.4366 0.25 2.76 0.38 0.7578
F 0.6091 3.3540 4.7409 -0.10 0.05 -0.06 -0.3637
C 0.0876 3.1886 3.4822 0.20 -0.93 -0.36 0.3830
C 0.2505 1.9756 2.8260 0.39 0.96 1.11 -0.3652
C -0.2757 1.7838 1.5632 -0.76 -1.04 -1.17 -0.1882
C -0.9987 2.8625 0.9544 0.07 0.33 0.25 -0.1584
C -1.1289 4.0625 1.6601 0.05 -0.31 0.05 0.4062
F -1.8091 5.1307 1.1275 0.09 -0.10 -0.04 -0.3641
C -0.6024 4.2455 2.9202 -0.11 0.30 -0.05 -0.4288
C -1.5724 2.5166 -0.3106 1.31 -1.11 -0.41 0.0820
C -2.6139 3.1897 -0.9871 -1.09 0.03 -0.95 -0.2179
C -3.3562 2.5687 -1.9455 0.43 0.40 0.63 -0.2482
C -3.0165 1.2127 -2.3826 -0.11 -0.05 -0.18 -0.3090
C -1.7771 0.6036 -1.7456 -0.18 -0.22 -0.53 0.3448
N -1.1474 1.2905 -0.7118 -0.74 0.85 1.21 -0.4909
H 0.7955 1.2002 3.3407 0.15 -0.21 0.09 0.2061
H -0.7227 5.1768 3.4473 -0.03 0.16 0.04 0.2132
H -2.8869 4.1824 -0.6661 0.00 0.08 0.05 0.2158
H -4.2045 3.0544 -2.4106 -0.04 0.07 0.07 0.1908
H -3.8514 0.5694 -2.6505 0.09 0.04 0.00 0.2238
H -0.7081 -1.0785 -1.8234 -0.08 0.10 0.01 0.4331
N 1.1747 -2.8554 6.4763 0.52 0.56 -0.70 -0.8141
C 2.0266 -2.7321 5.3582 1.33 -0.94 1.48 0.1666
S 3.6110 -3.3001 5.5571 -0.56 0.09 0.01 -0.3091
C 1.5395 -2.1878 4.1491 0.32 0.53 -1.47 -0.2635
C 0.1247 -1.9321 4.0026 -0.81 0.18 -0.34 -0.2729
C -0.3968 -1.3431 2.9182 0.15 -0.42 0.65 0.0383
N 0.3906 -0.9404 1.8195 -1.01 0.42 0.17 -0.4490
C 1.8622 -1.1651 1.8907 1.16 0.03 0.02 -0.1369
C 2.3734 -1.7963 3.1062 -1.26 -0.05 0.61 -0.0122
H 1.7190 -3.1017 7.2947 -0.04 -0.02 -0.18 0.3873
H 0.6019 -2.0363 6.6497 -0.17 -0.16 -0.19 0.3741
H -0.5462 -2.2274 4.7961 -0.09 -0.05 -0.01 0.2042
H -1.4555 -1.1408 2.8231 0.10 0.14 -0.03 0.2168
H 2.4599 -0.3389 1.5064 -0.05 0.01 0.00 0.2287
H 3.4431 -1.8521 3.2234 0.15 -0.08 0.09 0.2268
F 2.9786 1.9547 -3.1414 -0.22 0.05 -0.01 -0.3484
C 3.1548 0.7672 -2.5136 -0.10 -0.20 0.15 0.8651
F 4.0870 0.9833 -1.5682 0.04 0.02 0.08 -0.3378
F 3.7377 -0.0429 -3.4228 -0.13 -0.14 -0.07 -0.3446
C 1.7963 0.1838 -1.9133 1.01 0.51 0.25 0.7089
O 1.0892 -0.4380 -2.6858 -0.58 -0.48 -0.79 -0.7094
O 1.6639 0.4695 -0.7169 0.10 0.20 0.65 -0.7316
C 0.9888 -1.8577 0.9265 0.65 -1.16 -0.56 -0.0457
C 0.6603 -3.1667 0.5378 0.07 -0.17 0.57 -0.0771
C 1.6527 -4.1103 0.1759 -0.07 0.05 0.11 -0.2040
C 1.3013 -5.3722 -0.2439 -0.03 -0.05 -0.08 -0.2171
C -0.0332 -5.7524 -0.3280 -0.10 -0.35 -0.10 -0.3247
C -1.0221 -4.8327 0.0016 0.06 -0.17 -0.14 -0.1906
C -0.6894 -3.5641 0.4065 0.01 0.11 0.14 -0.2708
H 2.6955 -3.8372 0.2519 0.09 0.09 0.02 0.1943
H 2.0721 -6.0852 -0.5159 0.06 0.02 0.02 0.1876
H -0.2955 -6.7502 -0.6527 -0.04 -0.07 -0.03 0.1845
H -2.0626 -5.1226 -0.0685 -0.12 0.04 -0.04 0.1900
H -1.4587 -2.8382 0.6211 -0.08 0.09 0.10 0.2034
S -1.8267 -0.3218 -4.4222 0.10 -0.07 0.28 0.2754
C -1.7531 1.0035 -3.1958 -0.22 -0.39 -0.02 -0.3815
N -1.6365 -0.8213 -1.4491 -0.07 -0.18 -0.46 -0.7097
C -2.6240 -1.5959 -2.1083 -0.12 -0.01 -0.28 0.2343
C -3.4939 -2.4052 -1.3944 -0.05 -0.15 -0.11 -0.2170
C -4.4171 -3.2023 -2.0575 -0.01 0.02 0.05 -0.2343
C -4.4991 -3.1717 -3.4405 -0.07 -0.09 -0.01 -0.2312
C -3.7052 -2.2964 -4.1596 0.08 0.06 0.04 -0.2221
C -2.7829 -1.4917 -3.5009 0.16 -0.04 -0.09 -0.2208
H -1.1819 1.8472 -3.5530 0.05 0.10 0.09 0.2460
H -3.4289 -2.4214 -0.3169 0.10 0.03 0.07 0.2214
H -5.0758 -3.8500 -1.4970 -0.02 -0.07 0.09 0.1990
H -5.2017 -3.8153 -3.9547 -0.04 0.01 -0.04 0.1959
H -3.7979 -2.2150 -5.2329 -0.05 0.00 -0.11 0.2049
```
Positions in Å, forces in eV/Å.

**Net charge**: -2
**Orbital gap (spin up / spin down)**: 4.18 / 4.22 eV

---

Molecular formula: C3H2Cl2N2
Method: DFT, the ωB97M-V functional and the def2-TZVPD basis

The geometry in XYZ format:
```
9
Properties=species:S:1:pos:R:3:forces:R:3:nbo_charge:R:1
C -0.5452 -0.6695 0.2968 -2.32 -1.07 -0.85 -0.0929
C -1.3821 -1.2213 -0.3894 1.02 0.42 0.64 -0.0348
C 0.4265 0.1748 0.9645 -0.57 -1.32 0.67 -0.1546
'''
### Reply
2